It’s a hot evening at mid-summer, and not a single leaf flutters. The air is so calm everything is brought to a standstill, including the mind.
Listening with a quiet mind, every sound ripples with meaning. Listening from the background silence of the universe, love ensues.
The stillness is palpable, and penetrates deeply. Each sound stands out sharply—the kids playing in the creek 200 meters upstream and down; the woodpecker drilling on a dead branch some distance away; the voices of two friends talking as they walk by unseen on the other side of the thick underbrush; the piercing cry of a hawk perhaps a half-mile away.
Listening, the stillness grows in the mind and brain as undivided observation effortlessly gathers into undirected attention. Truly, stillness of mind is the source of peace, the wellspring of insight, and the door to the numinous.
Previously, at the same spot, two young parents tossed stones continuously for an hour as their little girl screamed constantly. She wasn’t upset; her shrieking was completely normalized and acceptable to her oblivious parents.
But this evening children play joyfully upstream and down. There is a feeling of humans in harmony with the earth. The contrast between the two evenings did not occur to me until later. In the midst of a mystical state of being, there is only a mystical state of being.
Doing philosophy, which is distinct but complementary to meditation when meditation is put first, is about asking the right questions at the right time, and gaining new or deepening previous insights into the human condition. (That’s somewhat of a redundancy, since insight, to be insight, is always new.) The question is: why do humans live in disharmony with earth and each other, rather than harmony?
In a textbook case of projection, a leading voice of Americanism and nationalism summarizes conservative’s worldview:
“Every minute or hour, in ways we’re not even conscious of, we as individuals and members of our class are competing for dominance and respect…
What comes next are records of crystals, not part of the entry =
Compound: Sr6Bi2O11
Source: Materials Project
Functional: PBE-GGA
Structure: optimized geometry

Symmetry ... P4/nmm
E_form ... -2.462 eV/atom
Energy ... -5.871 eV per atom
Distance to the lowest polymorph of the same formula ... 0.0 meV per atom

Lattice parameters (Å, degrees): 8.7445 8.7445 9.1300 90.00 90.00 90.00
Atoms (fractional coordinates):
Sr1 0.2774 0.7774 0.7925
Sr2 0.2774 0.2226 0.7925
Sr3 0.2226 0.2774 0.2075
Sr4 0.2226 0.7226 0.2075
Sr5 0.5000 0.5000 0.5000
Sr6 0.7226 0.2226 0.7925
Sr7 0.5000 0.0000 0.0690
Sr8 0.7226 0.7774 0.7925
Sr9 0.7774 0.7226 0.2075
Sr10 0.7774 0.2774 0.2075
Sr11 0.0000 0.0000 0.5000
Sr12 0.0000 0.5000 0.9310
Bi1 0.0000 0.0000 0.0000
Bi2 0.5000 0.0000 0.5406
Bi3 0.5000 0.5000 0.0000
Bi4 0.0000 0.5000 0.4594
O1 0.2536 0.5000 0.0161
O2 0.5000 0.7464 0.9839
O3 0.2702 0.0000 0.6141
O4 0.2298 0.5000 0.3859
O5 0.5000 0.2298 0.6141
O6 0.0000 0.7536 0.0161
O7 0.7536 0.0000 0.9839
O8 0.5000 0.5000 0.2290
O9 0.5000 0.5000 0.7710
O10 0.2464 0.0000 0.9839
O11 0.0000 0.2464 0.0161
O12 0.5000 0.7702 0.6141
O13 0.7702 0.5000 0.3859
O14 0.5000 0.0000 0.3173
O15 0.0000 0.5000 0.6827
O16 0.7298 0.0000 0.6141
O17 0.0000 0.7298 0.3859
O18 0.5000 0.2536 0.9839
O19 0.0000 0.0000 0.2290
O20 0.0000 0.0000 0.7710
O21 0.7464 0.5000 0.0161
O22 0.0000 0.2702 0.3859


No. 1
Li7Mn4CoO12: optimized geometry, GGA+U.

Summary:
The total magnetization is 0.667 μB per atom.

Cell: 11.0709 11.0709 15.2920 Å, 114.43 114.43 14.89°
Fractional positions:
Li1 0.0487 0.0487 0.2071
Li2 0.1344 0.1344 0.6264
Li3 0.2120 0.2120 0.0487
Li4 0.2499 0.2499 0.2501
Li5 0.2880 0.2880 0.4516
Li6 0.3661 0.3661 0.8735
Li7 0.4513 0.4513 0.2924
Li8 0.5487 0.5487 0.7076
Li9 0.6339 0.6339 0.1265
Li10 0.7120 0.7120 0.5484
Li11 0.7501 0.7501 0.7499
Li12 0.7880 0.7880 0.9513
Li13 0.8656 0.8656 0.3736
Li14 0.9513 0.9513 0.7929
Mn1 0.0855 0.0855 0.4157
Mn2 0.1744 0.1744 0.8317
Mn3 0.3257 0.3257 0.6682
Mn4 0.4141 0.4141 0.0840
Mn5 0.5859 0.5859 0.9160
Mn6 0.6743 0.6743 0.3318
Mn7 0.8256 0.8256 0.1683
Mn8 0.9145 0.9145 0.5843
Co1 0.0000 0.0000 0.0000
Co2 0.5000 0.5000 0.5000
O1 0.0188 0.0188 0.5930
O2 0.0719 0.0719 0.8205
O3 0.1042 0.1042 0.0107
O4 0.1488 0.1488 0.2377
O5 0.1881 0.1881 0.4241
O6 0.2375 0.2375 0.6471
O7 0.2625 0.2625 0.8528
O8 0.3116 0.3116 0.0760
O9 0.3512 0.3512 0.2624
O10 0.3956 0.3956 0.4891
O11 0.4282 0.4282 0.6798
O12 0.4805 0.4805 0.9070
O13 0.5195 0.5195 0.0930
O14 0.5718 0.5718 0.3202
O15 0.6044 0.6044 0.5109
O16 0.6488 0.6488 0.7376
O17 0.6884 0.6884 0.9240
O18 0.7375 0.7375 0.1472
O19 0.7625 0.7625 0.3529
O20 0.8119 0.8119 0.5759
O21 0.8512 0.8512 0.7623
O22 0.8958 0.8958 0.9893
O23 0.9281 0.9281 0.1795
O24 0.9812 0.9812 0.4070


No. 2
Li5MnCo2O8: optimized geometry, GGA+U.

Summary:
The total magnetization is 0.625 μB per atom.

Cell: 4.9714 5.9080 5.0711 Å, 90.00 108.41 90.00°
Fractional positions:
Li1 0.0000 0.0000 0.0000
Li2 0.0000 0.2400 0.5000
Li3 0.0000 0.7600 0.5000
Li4 0.5000 0.0000 0.5000
Li5 0.5000 0.5000 0.5000
Mn1 0.0000 0.5000 0.0000
Unconsciously or not, we try to win subtle status points, earn cultural affirmation, develop our tastes, promote our lifestyles and advance our class.”
When powerful people link dominance and respect, they commit an act of intellectual violence against the powerless. Everyone wants respect, but not everyone wants dominance. Politically overthrowing an old order has perhaps always resulted domination by a new group, but domination is not a given.
**Between two parts of the page: data records:**
<<<
ZrVNi | GGA-PBE | relaxed

abc: 5.0128 5.0128 8.3884
angles: 90.00 90.00 119.13
With the nearest neighbours (Å) after each atom.
Fractional positions:
Zr  0.6740  0.3260  0.3186  7 Ni 2.84-3.03, 5 V 2.97-3.04, 4 Zr 3.04-3.09
Zr  0.3377  0.6623  0.1937  5 Ni 2.92-2.96, 7 V 2.97-3.02, 4 Zr 3.09-3.25
Zr  0.3377  0.6623  0.8063  5 Ni 2.92-2.96, 7 V 2.97-3.02, 4 Zr 3.09-3.25
Zr  0.6740  0.3260  0.6814  7 Ni 2.84-3.03, 5 V 2.97-3.04, 4 Zr 3.04-3.09
V  0.1551  0.8449  0.5000  6 Ni 2.44-2.52
V  0.3409  0.1674  0.0000  4 V 2.42-2.59, 2 Ni 2.60
V  0.8326  0.6591  0.0000  4 V 2.42-2.59, 2 Ni 2.60
V  0.8265  0.1735  0.0000  4 V 2.42-2.59, 2 Ni 2.63
Ni  0.0030  0.9970  0.2548  4 V 2.44-2.63, 2 Ni 2.56
Ni  0.0030  0.9970  0.7452  4 V 2.44-2.63, 2 Ni 2.56
Ni  0.6544  0.8388  0.5000  2 V 2.49-2.52, 4 Ni 2.50-2.57
Ni  0.1612  0.3456  0.5000  2 V 2.49-2.52, 4 Ni 2.50-2.57

Results
Its total energy is -8.04 eV per atom. The value obtained for the energy of formation is -238 meV per atom. The calculation puts the density at 7.25 g/cm3.

TbBi3 | GGA-PBE | relaxed

abc: 6.4332 6.4332 6.4332
angles: 137.28 137.28 62.01
With the nearest neighbours (Å) after each atom.
Fractional positions:
Tb  0.0000  0.0000  0.0000  12 Bi 3.31-3.62
Bi  0.7500  0.2500  0.5000  8 Bi 3.31-3.62, 4 Tb 3.62
Bi  0.2500  0.7500  0.5000  8 Bi 3.31-3.62, 4 Tb 3.62
Bi  0.5000  0.5000  0.0000  4 Tb 3.31, 8 Bi 3.62

Results
Its total energy is -4.43 eV per atom. The value obtained for the energy of formation is -351 meV per atom. The calculation puts the density at 10.77 g/cm3.

BaAlCuSbO5 | GGA-PBE | relaxed

abc: 4.0143 4.0105 8.7036
angles: 90.77 88.93 90.01
With the nearest neighbours (Å) after each atom.
Fractional positions:
Ba  0.9947  0.0051  0.9144  8 O 2.84-2.85
Al  0.9998  0.9987  0.3342  4 O 2.01-2.02
Cu  0.4983  0.4996  0.3562  4 O 2.03-2.04
Sb  0.5036  0.4986  0.6752  5 O 2.00-2.01
O  0.0038  0.4971  0.6828  2 Sb 2.01
O  0.5063  0.9984  0.6830  2 Sb 2.00-2.01
O  0.9998  0.4990  0.3170  2 Al 2.01, 2 Cu 2.04
O  0.4991  0.9989  0.3187  2 Al 2.01-2.02, 2 Cu 2.03
O  0.4948  0.5048  0.9065  1 Sb 2.01

Results
The excess energy over the best structure of this formula in the dataset is 0 meV per atom. Its total energy is -5.80 eV per atom. The value obtained for the energy of formation is -1889 meV per atom. The calculation puts the density at 5.09 g/cm3. The MP2020-corrected energy comes out at -6.18 eV per atom.

Ge2Pt3 | GGA-PBE | relaxed

abc: 6.9975 7.6519 12.4058
angles: 90.00 90.00 90.00
With the nearest neighbours (Å) after each atom.
Fractional positions:
Ge  0.8727  0.7500  0.0060  7 Pt 2.58-2.61
Ge  0.3727  0.2500  0.4940  7 Pt 2.58-2.61
Ge  0.1273  0.2500  0.9940  7 Pt 2.58-2.61
Ge  0.6273  0.7500  0.5060  7 Pt 2.58-2.61
Ge  0.3787  0.7500  0.0097  7 Pt 2.57-2.59
Ge  0.8787  0.2500  0.4903  7 Pt 2.57-2.59
Ge  0.6213  0.2500  0.9903  7 Pt 2.57-2.59
Ge  0.1213  0.7500  0.5097  7 Pt 2.57-2.59
Ge  0.6255  0.4729  0.2544  8 Pt 2.62-2.72
Ge  0.1255  0.5271  0.2456  8 Pt 2.62-2.72
>>>
At bottom, the conservative’s theory of human nature has its origins in the idea of “original sin.” However many layers they lacquer onto it, conservatives see humans as born bad, as immutably flawed creatures that must continually strive to climb out of the muck and mire of nature.
Sitting atop their privileged perches, elites justify their rise to power by generalizing domination and discrimination: “We seek to topple those who have higher standing than us and we seek to wall off those who are down below.”
When I was a young man living in Silicon Valley, some people urged me to run for Congress. Their representative at the time (right after the first Gulf war) was speaking and legislating to the right of his constituency.
I had spoken up a few times against the Congressman’s views at town hall meetings, and received strongly favorable responses. I was considering running when an older fellow, about my age now, approached after a group of ego-strokers had dispersed.
“Don’t do it,” he simply said.
“Because it will corrupt you.”
Are you seeing something in me, or do you have a prejudice against politicians?
“I see something in you, and power will corrupt you,” he said, looking me in the eye.
I reflected on what he said for a few days, and saw he was right. Political power would accentuate my negative traits, which I hadn’t sufficiently worked through at that time. It’s true, “power tends to corrupt, and absolute power corrupts absolutely.”
My question became, can there be radical change without seeking or holding power?
Clearly, that’s the only way there can be radical change. Because as long as “dominance and respect” are linked and taken as a given of human nature, the decimation of the earth and the gross inequality between people will continue.
So is there a revolution that is not based on gaining and holding power? Yes, that’s the only true revolution.
Here the piece breaks off for calculated crystals:
The following is a r2SCAN calculation of a relaxed structure of RbPO3, from the Materials Project.

Calculated values
volume: 330.3 Å³/cell
energy: -10.6374 eV per atom
energy relative to the elements: -2.4673 eV/atom
symmetry: P2_1/c, No. 14

Cell: 6.4818 4.2348 13.1228 Å, 90.00 113.50 90.00°
Fractional coordinates of all 20 atoms:
Rb: 0.1865 0.1351 0.4082
Rb: 0.1865 0.3649 0.9082
Rb: 0.8135 0.6351 0.0918
Rb: 0.8135 0.8649 0.5918
P: 0.3604 0.5097 0.6788
P: 0.3604 0.9903 0.1788
P: 0.6396 0.0097 0.8212
P: 0.6396 0.4903 0.3212
O: 0.1509 0.1386 0.1763
O: 0.1509 0.3614 0.6763
O: 0.3646 0.6608 0.5777
O: 0.3646 0.8392 0.0777
O: 0.4359 0.7423 0.2807
O: 0.4359 0.7577 0.7807
O: 0.5641 0.2423 0.2193
O: 0.5641 0.2577 0.7193
O: 0.6354 0.1608 0.9223
O: 0.6354 0.3392 0.4223
O: 0.8491 0.6386 0.3237
O: 0.8491 0.8614 0.8237

* * * * *

The following is a DFT calculation (PBE) of crystalline Ba2MgTi2O6 at its relaxed geometry.

POSCAR file:
```
Ba2MgTi2O6
1.0
5.556 -0.268 -3.646
-1.727 4.889 -2.996
-0.376 0.267 6.646
O Ba Ti Mg
6 2 2 1
direct
0.289 0.708 0.962
0.743 0.724 0.977
0.275 0.254 0.509
0.292 0.252 0.963
0.749 0.711 0.419
0.747 0.256 0.979
0.724 0.276 0.553
0.292 0.707 0.414
0.501 0.499 0.998
0.922 0.077 0.154
0.084 0.916 0.833
```

Output
- SG = No. 1
- total energy after the MP2020 corrections (eV per cell) = -83.927
- formation energy from the elements (kJ/mol of atoms) = -289.54
- energy above the lowest structure with this stoichiometry (kcal/mol of atoms) = 0.00
- DFT total energy (eV for the cell shown) = -79.80

* * * * *

No. 1
## Cs2RbSbBr6 (PBE)

Data for a relaxed structure of Cs2RbSbBr6.

extended XYZ file:
```
10
Lattice="4.8808 -4.5900 5.4363 -3.4740 -3.3115 7.1700 -1.1601 -8.5215 0.6935" Properties=species:S:1:pos:R:3 pbc="T T T"
Cs 0.1851 -12.3173 9.9748
Cs 0.0617 -4.1058 3.3249
Rb 0.1234 -8.2115 6.6499
Sb 0.0000 0.0000 0.0000
Br 2.6834 -6.2627 5.9968
Br -0.5673 -8.3783 3.4447
Br -2.4367 -10.1603 7.3029
Br -1.8124 -5.5747 6.9298
Br 2.0592 -10.8483 6.3700
Br 0.8140 -8.0447 9.8551
```

E (MP2020) = -33.276 eV for the cell shown
volume = 45.42 A^3/atom
SG = No. 225

=====

No. 2
## Na3ScSi2O7 (PBE)

Data for a relaxed structure of Na3ScSi2O7.

extended XYZ file:
```
52
Lattice="-5.0878 0.3170 -1.7840 -2.9180 -5.0918 7.4174 -1.7440 11.1245 6.9505" Properties=species:S:1:pos:R:3 pbc="T T T"
Na -1.8039 2.7709 5.3696
Na -8.4940 7.0750 9.3988
Na -4.1094 5.9765 4.3393
Na -9.1697 3.6612 10.7342
Na -5.0923 -3.1231 6.0602
Na -4.4073 0.2902 4.7280
Na -1.2558 -0.7253 3.1851
Na -4.6575 9.4728 6.5237
Na -5.6404 0.3732 8.2447
Na -5.3426 6.0595 7.8559
Na -7.9459 3.5787 7.2143
Na -0.5801 2.6885 1.8497
Sc -4.0029 -2.3874 2.8167
Sc -0.8720 5.5622 3.4753
Sc 0.0000 0.0000 0.0000
Sc -4.8749 3.1748 6.2920
Si -3.3533 0.7331 1.3012
Si -2.1160 5.3786 6.7730
Si -3.7662 3.3669 2.9467
Si -6.3965 5.6165 11.2827
Si -5.9836 2.9828 9.6372
Si -7.2210 -1.6627 4.1653
Si -2.5288 8.0124 8.4186
Si -7.6339 0.9711 5.8109
O -3.6313 -0.2844 2.5492
O -2.6504 4.5409 3.1515
Martin LeFevre